Contents =
____________
C18H18N2O4 | ωB97M-V/def2-TZVPD

Structure (ORCA input):
```
! wB97M-V def2-TZVPD RIJCOSX def2/J DEFGRID3
* xyz 0 1
C -3.85525 -3.26532 -0.15430
C -4.19223 -2.12082 -1.10067
O -3.27022 -1.04194 -0.98212
C -3.41375 -0.21301 0.04323
N -4.39182 -0.41713 0.91474
C -4.51900 0.39907 1.94699
C -3.66680 1.46124 2.19057
C -2.64389 1.69223 1.28409
C -2.50105 0.86193 0.17996
C -1.45132 1.09778 -0.83153
O -1.46765 0.70809 -1.97109
O -0.43573 1.81623 -0.30947
C 0.63638 2.16414 -1.17399
C 2.00247 1.75122 -0.61565
O 2.86709 2.58968 -0.45877
N 2.17778 0.43543 -0.35868
C 1.18255 -0.61514 -0.56477
C 1.94497 -1.94381 -0.44978
C 3.27214 -1.52659 0.10919
C 4.32099 -2.30571 0.54462
C 5.47227 -1.67906 1.00440
C 5.56040 -0.29768 1.01661
C 4.51035 0.49669 0.57747
C 3.36551 -0.13487 0.12586
H -2.83136 -3.59462 -0.31415
H -3.96806 -2.93938 0.87624
H -4.52784 -4.09828 -0.33711
H -4.10320 -2.43878 -2.14172
H -5.20500 -1.75553 -0.90568
H -5.34762 0.17470 2.60571
H -3.80183 2.09374 3.05244
H -1.96051 2.51707 1.41473
H 0.64977 3.25379 -1.27558
H 0.47104 1.71009 -2.15970
H 0.69744 -0.50676 -1.53654
H 0.41524 -0.54553 0.21442
H 1.42912 -2.65233 0.19832
H 2.07509 -2.41656 -1.42606
H 4.24729 -3.38293 0.52826
H 6.30264 -2.27492 1.35197
H 6.46176 0.17660 1.37445
H 4.58214 1.57059 0.58264
*
```

Results
HOMO level   -8.251 eV
Relative energy (zero: lowest compared OMol25 entry of this formula, charge and spin)   22.9 kcal/mol
Orbital gap   0.312 Ha
Lowest unoccupied orbital energy   0.23 eV
SMILES string   CCOc1ncccc1C(=O)OCC(=O)N1CCc2ccccc21


C30H55ClP2PdSeSi2 | ωB97M-V/def2-TZVPD

Structure (ORCA input):
```
! wB97M-V def2-TZVPD RIJCOSX def2/J DEFGRID3
* xyz 0 5
Pd -0.19572 -0.60807 -0.04640
C -1.61922 0.00491 1.70364
C -1.66775 1.16854 0.88070
C -2.14035 0.73010 -0.39590
Si -1.29561 2.92037 1.46673
C -2.43321 -0.66393 -0.33038
C -2.08351 -1.14403 0.98744
Si -1.97756 -2.90513 1.63302
H -1.29162 -0.02402 2.74252
H -2.29205 1.37579 -1.25605
H -2.83986 -1.28714 -1.11845
Cl 0.58577 1.16661 -4.65556
C -2.00922 -2.92727 3.49628
C -3.40543 -3.88365 0.95263
C -0.77356 2.88846 3.26128
C -2.82913 3.96384 1.27225
H -4.28095 -3.22515 0.86954
H -3.63839 -4.67565 1.67840
H -3.21394 -4.34256 -0.02407
H -1.03879 -3.21247 3.92203
H -2.76229 -3.66020 3.81861
H -2.29082 -1.94364 3.89299
H -3.70979 3.30728 1.27113
H -2.84380 4.56823 0.35736
H -2.90478 4.63595 2.13850
H -1.33980 2.13070 3.81833
H -0.97772 3.87153 3.70919
H 0.29840 2.67306 3.36166
C -0.29125 -3.57922 1.05166
C 0.16003 3.67128 0.49986
P 0.21596 -2.84000 -0.53218
H -0.31373 -4.67909 1.00255
H 0.45876 -3.28308 1.80472
P 0.21390 3.38081 -1.30169
H 1.07500 3.21544 0.92396
H 0.19305 4.75433 0.71344
C 1.74608 4.23690 -1.92818
C -1.19102 4.37396 -2.02203
C -0.93644 -3.58112 -1.79569
C 1.86856 -3.50181 -1.02751
C 2.83214 -2.38320 -1.43136
H 1.66918 -4.11488 -1.92233
C 2.48544 -4.40926 0.03762
H 2.70416 -3.85287 0.95978
H 3.43341 -4.80530 -0.35169
H 1.84248 -5.26257 0.28542
H 2.50623 -1.86928 -2.34411
H 3.82115 -2.81991 -1.62901
H 2.93478 -1.63325 -0.63129
H -1.94065 -3.24039 -1.49343
C -0.89391 -5.11460 -1.77670
C -0.63972 -3.05343 -3.20411
H -1.22464 -5.54469 -0.82386
H 0.11242 -5.49390 -2.00060
H -1.56693 -5.48924 -2.56070
H -0.83807 -1.98117 -3.30597
H -1.28286 -3.58334 -3.92160
____________

Work order =
It remains to start at the top of the listing further above and copy each line, ending with the one that has "4.51035 0.49669".

Outcome =
C18H18N2O4 | ωB97M-V/def2-TZVPD

Structure (ORCA input):
```
! wB97M-V def2-TZVPD RIJCOSX def2/J DEFGRID3
* xyz 0 1
C -3.85525 -3.26532 -0.15430
C -4.19223 -2.12082 -1.10067
O -3.27022 -1.04194 -0.98212
C -3.41375 -0.21301 0.04323
N -4.39182 -0.41713 0.91474
C -4.51900 0.39907 1.94699
C -3.66680 1.46124 2.19057
C -2.64389 1.69223 1.28409
C -2.50105 0.86193 0.17996
C -1.45132 1.09778 -0.83153
O -1.46765 0.70809 -1.97109
O -0.43573 1.81623 -0.30947
C 0.63638 2.16414 -1.17399
C 2.00247 1.75122 -0.61565
O 2.86709 2.58968 -0.45877
N 2.17778 0.43543 -0.35868
C 1.18255 -0.61514 -0.56477
C 1.94497 -1.94381 -0.44978
C 3.27214 -1.52659 0.10919
C 4.32099 -2.30571 0.54462
C 5.47227 -1.67906 1.00440
C 5.56040 -0.29768 1.01661
C 4.51035 0.49669 0.57747